**Listing**
/*
Formula: C2H2F2S2
Source: OMol25
Level of theory: the ωB97M-V functional and the def2-TZVPD basis

```
8
Properties=species:S:1:pos:R:3
F -0.98964 -1.95484 -0.12620
S -1.22406 -0.48209 -0.76142
C 0.22855 0.19683 0.23903
F 0.50435 1.55877 0.20541
C 1.57167 -0.49965 -0.06055
S 1.65249 -1.90846 0.76533
H -0.01949 -0.07746 1.24680
H 2.56031 -0.15464 -0.57340
```

Output
Relative energy (zero: lowest compared OMol25 entry of this formula, charge and spin) ... 50.9 kcal per mole
Orbital gap ... 0.2997 hartree
SMILES string ... FS[C@H](F)C=S
E_HOMO ... -9.06 eV

---

Formula: C5H15N2O
Source: OMol25
Level of theory: the ωB97M-V functional and the def2-TZVPD basis

```
23
Properties=species:S:1:pos:R:3
C 1.06324 -2.18275 1.67230
C 1.76937 -1.39206 0.57082
C 1.76311 0.12000 0.69389
C 0.46900 0.84366 0.44353
C -0.48066 0.27605 -0.33895
N -1.75950 1.08063 -0.72889
N 0.53801 2.17899 0.86568
H 0.88719 -3.23946 1.36757
H 0.08106 -1.68355 2.01224
H 1.39103 -2.18133 2.78788
H 2.81028 -1.79106 0.55267
H 1.36632 -1.83256 -0.34033
H 2.41621 0.60093 -0.03541
H 2.19443 0.49463 1.60446
H -0.51414 -0.70955 -0.92877
H -2.20414 1.58071 0.11743
H -1.51840 1.79954 -1.46360
H -2.47698 0.40839 -1.20730
H -0.25226 2.87671 0.75252
H 1.32430 2.64028 1.42491
H -2.30595 -1.61091 -2.32813
H -2.81277 -0.85651 -3.35328
O -2.41751 -0.66287 -2.52124
```

Output
Relative energy (zero: lowest compared OMol25 entry of this formula, charge and spin) ... 53.8 kcal per mole
Orbital gap ... 0.3450 hartree
Total charge ... +1
E_HOMO ... -12.58 eV

---

Formula: C5H13N
Source: OMol25
Level of theory: the ωB97M-V functional and the def2-TZVPD basis

```
19
Properties=species:S:1:pos:R:3
C 0.87927 -2.54745 0.41098
C 1.10964 -1.04313 0.56740
N 0.45240 -0.28178 -0.51105
C -0.66466 0.68751 -0.18558
C -0.39766 1.86072 0.81473
C -1.26353 1.16487 -1.51710
H -0.14583 -2.71288 0.65418
H 1.31347 -2.88678 -0.54683
H 1.29128 -3.27206 1.15056
H 2.16756 -0.79394 0.44003
H 0.71712 -0.79572 1.55617
H 1.22807 0.26037 -0.92333
H -1.43289 0.04920 0.41041
H -1.40141 2.07934 1.17731
H 0.04535 2.76895 0.36392
H 0.33658 1.58060 1.65517
H -2.24684 1.52850 -1.40204
H -1.32180 0.38974 -2.27849
H -0.66613 1.96393 -1.83644
```

Output
Relative energy (zero: lowest compared OMol25 entry of this formula, charge and spin) ... 29.0 kcal per mole
Orbital gap ... 0.3616 hartree
SMILES string ... CCNC(C)C
E_HOMO ... -8.71 eV

---

Formula: C2H2Cl2P
Source: OMol25
Level of theory: the ωB97M-V functional and the def2-TZVPD basis

```
7
Properties=species:S:1:pos:R:3
C 0.29461 -0.94277 0.22430
C -0.14148 -2.06453 0.07101
P 1.17062 0.46052 0.74477
Cl 2.17855 0.86797 -0.92019
Cl -1.84577 1.91672 -0.32673
H -1.12548 2.84584 0.23366
H -0.53107 -3.08374 -0.02682
```

Output
Relative energy (zero: lowest compared OMol25 entry of this formula, charge and spin) ... 12.4 kcal per mole
Orbital gap ... 0.2769 hartree
Total charge ... +1
E_HOMO ... -15.71 eV

---

Formula: C13H24Cl2LuN2O
Source: OMol25
Level of theory: the ωB97M-V functional and the def2-TZVPD basis

```
43
Properties=species:S:1:pos:R:3
Lu -0.38858 -1.31112 0.54416
Cl 1.69607 -0.70032 1.57842
Cl -1.42427 -3.47286 0.64887
C -0.07278 -0.46581 -1.83188
H -0.85179 -0.12224 -2.54703
H 0.79931 -0.81032 -2.42378
C 0.71898 2.24232 -2.29927
C 0.75010 1.48623 -3.44141
H -0.20736 2.71602 -1.96826
C 1.98987 0.81823 -3.94820
H -0.14571 1.35454 -4.05597
C 3.06787 0.66204 -2.85081
H 1.73735 -0.15473 -4.38611
H 2.42961 1.42303 -4.75942
C 3.17899 1.90210 -1.96798
H 2.82541 -0.21198 -2.23281
H 4.03772 0.47542 -3.32706
C 1.83817 2.26264 -1.30438
H 3.94536 1.74780 -1.20155
H 3.49286 2.75583 -2.57894
H 1.63937 1.55708 -0.47523
H 1.89932 3.25977 -0.84258
C -1.52130 0.94448 3.64905
N -2.80137 0.95791 2.95963
C -4.01267 1.19020 3.72670
C -5.12574 1.58585 2.79268
C -5.26742 0.62441 1.64315
N -3.96988 0.44866 1.00966
C -3.91520 -0.10897 -0.33657
C -2.84281 0.47059 1.72043
O -1.75517 0.00131 1.20460
H -1.64164 1.47406 4.59851
H -0.75475 1.45281 3.04873
H -1.16858 -0.07923 3.85012
*/

**Activity**
Next, transcribe the whole of the lines further above without additions.

**Completed**
Formula: C2H2F2S2
Source: OMol25
Level of theory: the ωB97M-V functional and the def2-TZVPD basis

```
8
Properties=species:S:1:pos:R:3
F -0.98964 -1.95484 -0.12620
S -1.22406 -0.48209 -0.76142
C 0.22855 0.19683 0.23903
F 0.50435 1.55877 0.20541
C 1.57167 -0.49965 -0.06055
S 1.65249 -1.90846 0.76533
H -0.01949 -0.07746 1.24680
H 2.56031 -0.15464 -0.57340
```

Output
Relative energy (zero: lowest compared OMol25 entry of this formula, charge and spin) ... 50.9 kcal per mole
Orbital gap ... 0.2997 hartree
SMILES string ... FS[C@H](F)C=S
E_HOMO ... -9.06 eV

---

Formula: C5H15N2O
Source: OMol25
Level of theory: the ωB97M-V functional and the def2-TZVPD basis

```
23
Properties=species:S:1:pos:R:3
C 1.06324 -2.18275 1.67230
C 1.76937 -1.39206 0.57082
C 1.76311 0.12000 0.69389
C 0.46900 0.84366 0.44353
C -0.48066 0.27605 -0.33895
N -1.75950 1.08063 -0.72889
N 0.53801 2.17899 0.86568
H 0.88719 -3.23946 1.36757
H 0.08106 -1.68355 2.01224
H 1.39103 -2.18133 2.78788
H 2.81028 -1.79106 0.55267
H 1.36632 -1.83256 -0.34033
H 2.41621 0.60093 -0.03541
H 2.19443 0.49463 1.60446
H -0.51414 -0.70955 -0.92877
H -2.20414 1.58071 0.11743
H -1.51840 1.79954 -1.46360
H -2.47698 0.40839 -1.20730
H -0.25226 2.87671 0.75252
H 1.32430 2.64028 1.42491
H -2.30595 -1.61091 -2.32813
H -2.81277 -0.85651 -3.35328
O -2.41751 -0.66287 -2.52124
```

Output
Relative energy (zero: lowest compared OMol25 entry of this formula, charge and spin) ... 53.8 kcal per mole
Orbital gap ... 0.3450 hartree
Total charge ... +1
E_HOMO ... -12.58 eV

---

Formula: C5H13N
Source: OMol25
Level of theory: the ωB97M-V functional and the def2-TZVPD basis

```
19
Properties=species:S:1:pos:R:3
C 0.87927 -2.54745 0.41098
C 1.10964 -1.04313 0.56740
N 0.45240 -0.28178 -0.51105
C -0.66466 0.68751 -0.18558
C -0.39766 1.86072 0.81473
C -1.26353 1.16487 -1.51710
H -0.14583 -2.71288 0.65418
H 1.31347 -2.88678 -0.54683
H 1.29128 -3.27206 1.15056
H 2.16756 -0.79394 0.44003
H 0.71712 -0.79572 1.55617
H 1.22807 0.26037 -0.92333
H -1.43289 0.04920 0.41041
H -1.40141 2.07934 1.17731
H 0.04535 2.76895 0.36392
H 0.33658 1.58060 1.65517
H -2.24684 1.52850 -1.40204
H -1.32180 0.38974 -2.27849
H -0.66613 1.96393 -1.83644
```

Output
Relative energy (zero: lowest compared OMol25 entry of this formula, charge and spin) ... 29.0 kcal per mole
Orbital gap ... 0.3616 hartree
SMILES string ... CCNC(C)C
E_HOMO ... -8.71 eV

---

Formula: C2H2Cl2P
Source: OMol25
Level of theory: the ωB97M-V functional and the def2-TZVPD basis

```
7
Properties=species:S:1:pos:R:3
C 0.29461 -0.94277 0.22430
C -0.14148 -2.06453 0.07101
P 1.17062 0.46052 0.74477
Cl 2.17855 0.86797 -0.92019
Cl -1.84577 1.91672 -0.32673
H -1.12548 2.84584 0.23366
H -0.53107 -3.08374 -0.02682
```

Output
Relative energy (zero: lowest compared OMol25 entry of this formula, charge and spin) ... 12.4 kcal per mole
Orbital gap ... 0.2769 hartree
Total charge ... +1
E_HOMO ... -15.71 eV

---

Formula: C13H24Cl2LuN2O
Source: OMol25
Level of theory: the ωB97M-V functional and the def2-TZVPD basis

```
43
Properties=species:S:1:pos:R:3
Lu -0.38858 -1.31112 0.54416
Cl 1.69607 -0.70032 1.57842
Cl -1.42427 -3.47286 0.64887
C -0.07278 -0.46581 -1.83188
H -0.85179 -0.12224 -2.54703
H 0.79931 -0.81032 -2.42378
C 0.71898 2.24232 -2.29927
C 0.75010 1.48623 -3.44141
H -0.20736 2.71602 -1.96826
C 1.98987 0.81823 -3.94820
H -0.14571 1.35454 -4.05597
C 3.06787 0.66204 -2.85081
H 1.73735 -0.15473 -4.38611
H 2.42961 1.42303 -4.75942
C 3.17899 1.90210 -1.96798
H 2.82541 -0.21198 -2.23281
H 4.03772 0.47542 -3.32706
C 1.83817 2.26264 -1.30438
H 3.94536 1.74780 -1.20155
H 3.49286 2.75583 -2.57894
H 1.63937 1.55708 -0.47523
H 1.89932 3.25977 -0.84258
C -1.52130 0.94448 3.64905
N -2.80137 0.95791 2.95963
C -4.01267 1.19020 3.72670
C -5.12574 1.58585 2.79268
C -5.26742 0.62441 1.64315
N -3.96988 0.44866 1.00966
C -3.91520 -0.10897 -0.33657
C -2.84281 0.47059 1.72043
O -1.75517 0.00131 1.20460
H -1.64164 1.47406 4.59851
H -0.75475 1.45281 3.04873
H -1.16858 -0.07923 3.85012